A few months ago, I had a terrible time sleeping and getting up. After a party one night, I slept late and for the next 20 days, couldn’t get my sleeping pattern back on track. • I fell asleep very late every night at around 3 AM and wasn’t able to get up till at least 11 AM each day. • For someone like me who usually sleeps by midnight and gets up at 6 AM, I didn’t enjoy this.
Now a days many young fellows and elder ones are suffering from insomnia which is sleeplesness. • This may be due to their daily routine or profession. • Taking medication is not the permanent solution to it. • By following some of the remedies which I have presented in this presentation may enhance your health by giving sufficient sleep • Hope these tips may increase your happy moments in life..
Stick to a schedule. • Mum was right when she set a time we always had to go to sleep as kids. Sticking to a schedule allows your body to set its internal rhythm so you can get up at the time you want, consistently, every single day. Also, make sure you try to keep the same schedule on weekends too, otherwise the next morning, you’d wake later and feel overly tired.
Sleep only at night. • Avoid daytime sleep if possible. Daytime naps steal hours from nighttime slumber. Limit daytime sleep to 20-minute, power naps.
Exercise. • Its actually known to help you sleep better. Your body uses the sleep period to recover its muscles and joints that have been exercised. • Twenty to thirty minutes of exercise every day can help you sleep, but be sure to exercise in the morning or afternoon. • Exercise stimulates the body and aerobic activity before bedtime may make falling asleep more difficult.
Taking a hot shower or bath before bed helps bring on sleep because they can relax tense muscles. • Avoid eating just before bed. Give yourself at least 2 hours from when you eat to when you sleep. This allows for digestion to happen (or at least start) well before you go to sleep so your body can rest well during the night, rather than churning away your food.
Avoid caffeine. It keeps you awake and that’s now what you want for a good nights sleep. We all know that. • Read a fiction book. It takes you to a whole new world if you really get into it. And then take some time to ponder over the book as you fall asleep. I find as I read more and more, regardless of the book, I get more tired at night and so find it easier to fall asleep. Different for others?
Have the room slightly cooler. • I prefer this to a hot room. I prefer to turn off the heat and allow the coolness to circulate in and out of the windows. If I get cold, I wear warmer clothes. It also saves on the bills as you are not going to require the heat all night long
Sleep in silence. I find sleeping with no music or TV on more easy and restful. I guess others are different, but sleep with no distractions is best for a clearer mind.Avoid alcohol before bedtime. Its a depressant; although it may make it easier to fall asleep, it causes you to wake up during the night. As alcohol is digested your body goes into withdrawal from the alcohol, causing nighttime awakenings and often nightmares for some people.
Set a regular bedtime. • Go to bed at the same time every night. Choose a time when you normally feel tired, so that you dont toss and turn. Try not to break this routine on weekends when it may be tempting to stay up late. If you want to change your bedtime, help your body adjust by making the change in small daily increments, such as 15 minutes earlier or later each day.
Beat Insomnia with Visualization There's nothing worse than laying awake throughout the night, watching the clock tick away seconds knowing you'll be a zombie the next day. When insomnia's kicking your sleepy butt, use a self-directed meditative visualization technique to quiet the whir of a racing mind. Guest contributor Ryan Irelan runs down how to beat insomnia with "Blue Energy."
Solve Problems in Your SleepWrestling with a tough decision, stuck in a creative rut or having a hard time solving a complex problem? Studies show that a little shut-eye can help you tackle problems and make tough decisions.
Wake up at the same time every day. • If you are getting enough sleep, you should wake up naturally without an alarm. If you need an alarm clock to wake up on time, you may need to set an earlier bedtime. As with your bedtime, try to maintain your regular wake time even on weekends.
Keep the room as dark as possible. Exposure to light during the time you're supposed to be sleeping can disrupt your body's internal cycles. This has been documented in studies surrounding circadian rhythms • Avoid sleeping on your stomach.Avoid sleeping on your stomach. It's difficult to maintain the mid-line position, and it is more likely to cause aches and pains. If you must, bend one arm upwards and place it under your pillow. This will help alleviate stress on your back and neck by slightly propping up your body on one side.
Change your sleeping position. • You may think that it's impossible to control what position you sleep in since you aren't fully aware of what you are doing, but it is possible and it can make a considerable difference. When you go to sleep, or if you wake up in the middle of the night, make a conscious effort to follow these guidelines until it becomes habitual:Keep your body in a "mid-line" position, where both your head and neck are kept roughly straight. Don't use a flat pillow that causes your head to tilt down toward the mattress. Likewise, don't stack your pillows so that your head is propped at an angle.
Maintain your mattress. • Turn the mattress over every few months. Replace it after 5-7 years of regular use. If you feel springs or ridges beneath the surface when you're lying on the bed, or you and your partner roll to the middle of the bed unintentionally, it's time to go mattress shopping. You may also find that the mattress is to blame if you find yourself sleeping better in another bed.
Discovering your optimal sleep schedule • Find a period of time (a week or two should do) when you are free to experiment with different sleep and wake times. Go to bed at the same time every night and allow yourself to sleep until you wake up naturally. No alarm clocks! If you’re sleep deprived, it may take a few weeks to fully recover. But as you go to bed and get up at the same time, you’ll eventually land on the natural sleep schedule that works best for you.
Remove your sunglasses in the morning and let light onto your face.Spend more time outside during daylight. Try to take your work breaks outside in sunlight, exercise outside, or walk your dog during the day instead of at night.Let as much light into your home/workspace as possible. Keep curtains and blinds open during the day, move your desk closer to the window.
Avoid alcohol before bed. Many people think that a nightcap before bed will help them sleep. While it may make you fall asleep faster, alcohol reduces your sleep quality, waking you up later in the night. To avoid this effect, so stay away from alcohol in the hours before bed. • Stay away from big meals at night. Try to make dinnertime earlier in the evening, and avoid heavy, rich foods within two hours of bed. Fatty foods take a lot of work for your stomach to digest and may keep you up. Also be cautious when it comes to spicy or acidic foods in the evening, as they can cause stomach trouble and heartburn.
Avoid drinking too many liquids in the evening. Drinking lots of water, juice, tea, or other fluids may result in frequent bathroom trips throughout the night. Caffeinated drinks, which act as diuretics, only make things worse.Quit smoking. Smoking causes sleep troubles in numerous ways. Nicotine is a stimulant, which disrupts sleep. Additionally, smokers actually experience nicotine withdrawal as the night progresses, making it hard to sleep.
Turn off your television and computer • . Many people use the television to fall asleep or relax at the end of the day. Not only does the light suppress melatonin production, but television can actually stimulate the mind, rather than relaxing it. Try listening to music or audio books instead, or practicing relaxation exercises. If your favorite TV show is on late at night, record it for viewing earlier in the day.
Visit your doctor. • The last remedy is visiting your doctor • If you are concerned that you may have a sleep disorder, tell your doctor. Some of the most common sleep disorders are insomnia, obstructive sleep apnea (OSA), restless legs syndrome (RLS), narcolepsy, parasomnias, and heartburn (acid reflux). If you are indeed suffering from and are diagnosed with any of these conditions, your doctor will recommend treatment accordingly.
The entry is interrupted by crystal structures:
- - -
1.
Starting from DFT lattice parameters and positions (PBE), the powder X-ray diffraction pattern of Li2ZrCr was computed for Cu Ka.
Intensities are scaled so that the largest is 100.

abc: 3.766 3.766 4.981
angles: 90.00 90.00 90.00
Positions (direct):
Li: 0.000 0.500 0.000
Li: 0.500 0.000 0.000
Zr: 0.000 0.000 0.500
Cr: 0.500 0.500 0.500

Peak list (6 most intense, 2θ = 10–90°, low angle first)
| Position (°2θ) | d [Å] | I/Imax |
| --- | --- | --- |
| 17.8 | 4.981 | 100.0 |
| 33.7 | 2.663 | 39.8 |
| 36.1 | 2.490 | 21.6 |
| 38.3 | 2.348 | 72.6 |
| 50.2 | 1.819 | 24.2 |
| 51.9 | 1.761 | 21.7 |

2.
Starting from DFT lattice parameters and positions (PBE), the powder X-ray diffraction pattern of Li2Eu5O8 was computed for Cu Ka.
Intensities are scaled so that the largest is 100.

abc: 7.069 7.069 9.729
angles: 118.72 118.72 28.80
Positions (direct):
Li: 0.192 0.192 0.265
Li: 0.808 0.808 0.735
Eu: 0.169 0.169 0.815
Eu: 0.391 0.391 0.567
Eu: 0.500 0.500 0.000
Eu: 0.609 0.609 0.433
Eu: 0.831 0.831 0.185
O: 0.041 0.041 0.221
O: 0.183 0.183 0.066
O: 0.235 0.235 0.616
O: 0.420 0.420 0.344
O: 0.580 0.580 0.656
O: 0.765 0.765 0.384
O: 0.817 0.817 0.934
O: 0.959 0.959 0.779

Peak list (6 most intense, 2θ = 10–90°, low angle first)
| Position (°2θ) | d [Å] | I/Imax |
| --- | --- | --- |
| 26.4 | 3.376 | 100.0 |
| 27.5 | 3.242 | 72.3 |
| 29.9 | 2.990 | 63.6 |
| 31.5 | 2.839 | 99.2 |
| 32.1 | 2.785 | 51.7 |
| 36.4 | 2.471 | 31.3 |

3.
Starting from DFT lattice parameters and positions (PBE), the powder X-ray diffraction pattern of Ba2Tl2TeO6 was computed for Cu Ka.
Intensities are scaled so that the largest is 100.

abc: 6.545 6.545 6.436
angles: 97.08 97.08 118.29
Positions (direct):
Ba: 0.165 0.835 0.000
Ba: 0.835 0.165 0.000
Tl: 0.344 0.656 0.500
Tl: 0.656 0.344 0.500
Te: 0.500 0.500 0.000
O: 0.199 0.450 0.841
O: 0.323 0.323 0.214
O: 0.450 0.199 0.841
O: 0.550 0.801 0.159
O: 0.677 0.677 0.786
O: 0.801 0.550 0.159

Peak list (6 most intense, 2θ = 10–90°, low angle first)
| Position (°2θ) | d [Å] | I/Imax |
| --- | --- | --- |
| 15.7 | 5.636 | 57.6 |
| 27.4 | 3.259 | 58.5 |
| 28.6 | 3.124 | 52.9 |
| 29.4 | 3.034 | 91.4 |
- - -
Thank you • Please send your experience in getting sleep ,that may be useful to many youngsters. • Shiva.pharmacist@gmail.com